Drying outdoors


Well-Known Member
I've searching for a good week+ for good outdoor drying tips but everything i get is other people asking the same thing..."how do i dry my weed outside!!!?!!"

I myself want to be able to dry my buds outdoors this year seeing as im living with the parents. I've devised a plan and i wanted to see what you think about it. I was going to build a wooden box (not sure on dimensions yet, but somewhere around 6' x 2' x 3'), line the inside of it with black garbage bags and place it in a bush or somewhere hidden and not in direct sunlight. I was then going to paint the box white or another light colour to reflect the sun. although white is probably the worst colour i could pick for the outside of the box im going to have it well hidden. i was also going to have some sort of filter to absorb the moisture inside of the box to prevent molding. i would check the box atleast twice aday (working full time). what do you guys think about my idea? would the wood absorb the moisture from the buds to fast even though its lined in plastic giving it the "dryed in a paper bag" taste or would they be fine? any tips or opinions would be great, thanks!



Well-Known Member
it should be fine the only thing you have to protect your plants from is rain/moisture and of course animals and bugs. So a mini shelter would be ok. You might loose a very little potency but other then that it will be fine. Loosing a little potency is better then loosing your plants to your parents so you cant complain.

Timmy the Toker

Well-Known Member
Sounds cool, As long as you checking them often then It should be good, - I would assume once you get a little bit of mold then its just going to keep growing and would be hard to stop... -Big FLuctuations in temperatures cant be good for its drying process. Whatever you got to do to keep them away from your Parents, do it.


New Member
I think lining it with plastic inside will trap in moisture and cause mold. Sorry I don't really have any suggestions. Can't you set-up a tarp in the woods somewhere for awhile and hang dry them?


Well-Known Member
I suppose i could but i was trying to find a better alternative. I would put a good size hole in opposite ends of the box for air flow as well. that would probably work well.

Where in the hell am I?

Well-Known Member
It might work, seems to me like it should be ok, depends on how damp of an area you are in. We finally have rain here!!! Please, do us a favor! When you use the method you decide on, will you please let us know whatt worked/happened/wateva?


Well-Known Member
how about a 18 gallon plastic container suspended in a tree somewhere secluded nearby?

drill holes in the side and suspend string/wire across to hang your cut plant from (like mini clothes lines for your erb)...then drill holes in the lid so moisture can escape...find a way to suspend that

meh...thats my $0.02...if you cant dry outside look for a thread on here about a DIY dryer using the same 18 gallon container, wire/mesh racks, a PC fan, and maybe a covered lightbulb (for added heat and speedier drying)...just keep that in your closet maybe...

good luck

=====
No. 1
The following is a DFT calculation (PBE) of a relaxed structure of Na6Y3NbSi4S2O24.

Properties
ΔH_f (0 K) ... -2.874 eV per atom
Electronic total energy ... -7.1161 eV per atom
Space group ... P1

```
Na6Y3NbSi4S2O24
1.0
9.356 -0.014 -0.044
-4.690 8.124 0.015
-0.113 -0.021 23.183
Na O Nb S Si Y
18 72 3 6 12 9
Cartesian
2.919 5.785 1.668
-0.111 5.288 15.481
9.130 0.213 11.421
5.833 5.522 21.161
1.085 2.818 13.511
1.573 2.355 21.119
-1.379 2.761 1.852
-3.110 5.538 13.692
1.782 7.771 13.254
1.093 8.104 5.852
3.128 5.460 9.630
4.370 2.442 7.696
4.354 8.017 22.997
-1.736 2.974 17.233
4.452 2.626 19.219
-0.293 5.549 3.918
-1.659 7.717 2.020
2.961 5.093 17.463
5.562 1.072 17.223
3.894 4.198 12.199
-2.152 5.538 10.970
7.702 0.338 1.861
1.583 5.152 20.021
3.843 0.924 14.659
6.464 2.511 5.678
1.805 0.027 6.956
-1.620 5.531 17.676
1.766 0.313 13.516
5.393 4.219 0.477
3.533 3.868 21.381
5.533 4.088 17.321
1.736 5.616 5.855
8.238 1.525 6.872
3.000 7.914 9.560
0.575 4.053 17.643
4.029 6.548 13.489
-1.129 4.090 13.438
2.587 7.820 16.129
0.854 3.595 11.138
3.822 4.358 5.702
1.053 3.887 1.787
-1.713 5.218 1.853
-0.792 3.752 5.897
3.520 6.530 4.581
6.194 2.955 21.319
5.645 4.141 3.108
6.234 2.578 12.272
1.611 5.351 13.409
2.760 2.863 3.049
5.579 1.367 0.586
3.745 6.528 21.111
0.964 6.761 17.526
8.292 1.327 13.461
5.489 6.440 9.521
-3.533 6.502 16.027
0.862 1.459 9.640
1.226 4.017 8.525
1.073 1.474 1.936
-2.664 8.009 4.297
3.125 2.868 9.917
-2.037 5.144 8.564
-1.156 4.039 20.047
1.869 5.494 22.684
-0.855 1.518 21.108
1.045 7.005 11.029
5.291 6.309 18.624
2.904 2.770 17.384
0.679 7.269 8.354
-0.848 6.749 5.801
-0.739 6.934 20.041
-0.909 7.104 13.310
0.915 1.642 18.749
3.456 4.206 14.805
0.770 6.950 1.822
-1.311 6.977 22.642
-0.903 3.598 22.682
5.396 0.987 3.214
-3.033 8.053 21.079
6.510 2.791 14.897
7.320 0.131 18.504
3.746 6.373 7.008
5.590 4.070 9.784
3.953 1.213 21.375
0.589 1.899 16.086
5.381 1.292 9.958
5.255 6.522 1.833
2.784 2.531 0.628
-0.899 1.787 4.503
3.588 1.207 12.252
3.844 1.277 5.808
-0.169 5.350 19.044
4.727 2.668 22.566
4.681 2.698 11.102
3.225 5.707 5.805
-2.919 5.339 9.725
3.254 0.358 13.434
1.753 8.017 17.361
1.935 2.692 1.840
-1.406 2.417 5.760
2.680 5.334 21.308
6.061 0.339 1.892
-3.285 5.661 17.417
1.377 7.886 9.695
3.236 5.107 13.473
-1.479 2.964 21.334
6.015 5.057 1.847
7.367 2.684 13.529
-1.444 7.835 21.290
1.293 2.513 17.451
-1.840 8.077 5.738
1.430 2.962 9.754
-0.021 5.475 0.342
-0.039 5.461 7.416
-0.015 5.344 11.901
4.557 2.749 15.875
-0.009 0.008 15.099
-4.759 8.089 19.725
4.631 2.668 4.277
0.106 0.121 8.169
-4.611 8.046 3.446
```

***

No. 2
The following is a DFT calculation (PBE) of a relaxed structure of Na14Y4Nb4Si11SO48.

Properties
ΔH_f (0 K) ... -2.974 eV per atom
Electronic total energy ... -7.2801 eV per atom
Space group ... P1

```
Na14Y4Nb4Si11SO48
1.0
18.632 0.001 -0.001
-4.658 8.067 0.010
-0.001 0.028 22.893
O Na Si Nb S Y
144 42 33 12 3 12
Cartesian
1.084 1.728 18.420
12.322 2.685 16.826
3.351 4.235 14.690
=====

edit: a cardboard box might work better to speed up drying time...youre fucked if you get any rain whatsoever though...